# Contents
=====
# 1
Molecular formula: C17H23BrNO5P
Method: DFT, ωB97M-V/def2-TZVPD

Structure (XYZ):
```
48
Properties=species:S:1:pos:R:3:forces:R:3:lowdin_charge:R:1
O 0.764732 -2.672070 2.350737 1.5 -0.1 -1.3 0.1470
C -0.131128 -2.401885 3.063928 -0.8 0.1 1.5 -0.5883
O -0.141005 -2.833106 4.354027 -0.3 -0.2 0.3 0.0971
N -1.280987 -1.692686 2.716567 0.3 -0.5 -1.4 -0.0871
C -1.112619 -0.866999 1.511632 -1.3 1.6 0.6 -0.1493
C -1.649625 0.557920 1.815792 1.1 -0.2 -0.2 -0.2373
C -0.642511 1.370310 2.643352 -0.9 -0.1 0.0 -0.5684
Br -0.683753 0.968487 4.560712 0.2 0.1 -0.3 0.6555
C -2.426561 -2.591208 2.652172 -1.4 -0.3 1.0 -0.1623
P -3.794155 -2.085728 3.818853 0.7 0.3 0.6 0.4440
O -3.304313 -1.205330 4.855650 0.7 0.9 0.8 -0.2847
O -4.401483 -3.408298 4.508515 -0.6 0.3 -1.6 -0.1087
O -4.958005 -1.338124 2.974669 0.2 -0.8 -0.2 -0.1427
H 0.321489 -2.193634 4.912769 -0.2 0.0 0.0 0.1164
H -1.711197 -1.233586 0.675215 0.4 -0.4 -0.1 0.1219
H -0.076063 -0.718531 1.235027 0.1 -0.6 -0.1 0.0935
H -1.717619 1.092364 0.861108 -0.2 -0.1 0.0 0.1139
H -2.638619 0.536497 2.269964 0.0 0.0 0.1 0.0902
H 0.368011 1.195749 2.288416 0.1 0.1 0.1 0.0427
H -0.894441 2.422112 2.567216 0.2 0.1 0.1 0.0499
H -2.861975 -2.686410 1.654995 0.3 0.1 -0.1 0.1034
H -2.150200 -3.593203 2.986581 0.0 0.0 0.0 0.1093
H -5.159827 -3.736429 3.999045 0.0 -0.2 0.3 0.0862
H -4.767481 -0.395997 3.102814 -0.3 -0.1 0.1 0.0756
C 2.927151 -1.575377 -2.329735 0.0 0.0 0.0 -0.0959
C 2.419813 -2.152260 -1.172382 0.0 0.0 0.0 -0.0834
C 2.241501 -1.382632 -0.030445 0.0 0.0 0.1 -0.0942
C 2.564723 -0.030703 -0.052877 0.0 0.0 -0.1 -0.0949
C 3.068560 0.547053 -1.210661 0.0 0.1 0.0 -0.1052
C 3.253558 -0.225915 -2.348038 0.0 0.0 0.0 -0.1069
H 3.068217 -2.177881 -3.218598 0.0 0.0 0.0 0.0995
H 2.162876 -3.204278 -1.159622 0.0 0.0 0.0 0.1030
H 1.848973 -1.834602 0.875507 0.2 0.1 -0.3 0.0650
H 2.423213 0.574202 0.835947 0.0 0.0 0.0 0.0933
H 3.317786 1.601105 -1.226258 0.0 0.0 0.0 0.1000
H 3.650746 0.223550 -3.249516 0.0 0.0 0.0 0.1027
C 0.742734 1.825194 -4.014623 0.0 0.0 0.0 -0.1020
C 0.854185 2.029729 -5.382822 0.0 0.0 0.0 -0.0955
C 1.115647 3.300778 -5.876580 0.0 0.0 0.0 -0.0981
C 1.274533 4.365930 -5.001106 0.0 0.0 0.0 -0.0988
C 1.166408 4.160857 -3.632350 0.0 0.0 0.0 -0.0970
C 0.896601 2.891696 -3.139387 0.0 0.0 0.0 -0.1032
H 0.536486 0.834354 -3.629427 0.0 0.0 0.0 0.0997
H 0.736654 1.197507 -6.065581 0.0 0.0 0.0 0.1001
H 1.196440 3.461060 -6.944312 0.0 0.0 0.0 0.0996
H 1.482939 5.356289 -5.385805 0.0 0.0 0.0 0.0996
H 1.292075 4.991697 -2.949256 0.0 0.0 0.0 0.0995
H 0.807523 2.732422 -2.071851 0.0 0.0 0.0 0.0952
```
Forces are in eV/Å.

Results
gap between HOMO and LUMO = 9.469 eV
highest occupied orbital energy = -9.21 eV
SMILES string = O=C(O)N(CCCBr)CP(=O)(O)O.c1ccccc1.c1ccccc1
2S+1 = 1



# 2
Molecular formula: C2H13NO4
Method: DFT, ωB97M-V/def2-TZVPD

Structure (XYZ):
```
20
Properties=species:S:1:pos:R:3:forces:R:3:lowdin_charge:R:1
C -0.311412 0.035720 2.079584 2.1 -0.6 0.7 -0.0523
C -0.054446 1.148454 1.371412 0.7 0.1 -1.1 -0.3013
N -1.095742 1.898063 0.837336 -0.5 -0.1 -0.1 0.0279
H 0.482566 -0.325582 2.770970 -0.4 -0.1 -1.1 0.0548
H -1.039104 -0.709100 1.825900 -1.2 0.4 0.6 0.0152
H 1.015454 1.343370 0.963458 -1.7 0.5 1.6 0.1226
H -1.980305 1.863213 1.375597 1.1 0.1 -0.7 0.1125
H -0.894593 2.795031 0.414250 0.0 -0.3 0.2 0.0903
H -2.139870 -1.987863 -1.186606 -0.2 0.1 0.5 0.0491
H -2.217737 -1.102647 0.153441 -0.6 -0.5 -2.1 0.0602
O -2.557973 -1.206407 -0.793762 0.9 0.3 1.5 -0.0756
H 2.096771 1.142779 -0.948046 1.4 -0.7 0.4 0.0274
H 3.181156 -0.009873 -0.659862 -0.7 1.8 0.2 0.0649
O 2.970217 0.962446 -0.507952 -0.8 -1.2 -0.7 -0.1057
H 1.142596 -1.507420 -1.167264 -0.9 0.9 -0.2 -0.0253
H 1.145512 -2.972806 -0.672278 0.1 0.3 -0.1 0.0387
O 1.698260 -2.248365 -0.989179 0.8 -1.0 0.2 -0.0432
H -0.903880 -0.343676 -1.648750 0.3 0.5 -0.5 0.0214
H -0.339776 0.937812 -1.298572 -0.5 2.6 2.2 -0.0493
O -0.197687 0.286857 -1.919683 0.0 -3.0 -1.6 -0.0323
```
Forces are in eV/Å.

Results
=====

# Activity
Please repeat everything further above with every line break kept.

# Outcome
# 1
Molecular formula: C17H23BrNO5P
Method: DFT, ωB97M-V/def2-TZVPD

Structure (XYZ):
```
48
Properties=species:S:1:pos:R:3:forces:R:3:lowdin_charge:R:1
O 0.764732 -2.672070 2.350737 1.5 -0.1 -1.3 0.1470
C -0.131128 -2.401885 3.063928 -0.8 0.1 1.5 -0.5883
O -0.141005 -2.833106 4.354027 -0.3 -0.2 0.3 0.0971
N -1.280987 -1.692686 2.716567 0.3 -0.5 -1.4 -0.0871
C -1.112619 -0.866999 1.511632 -1.3 1.6 0.6 -0.1493
C -1.649625 0.557920 1.815792 1.1 -0.2 -0.2 -0.2373
C -0.642511 1.370310 2.643352 -0.9 -0.1 0.0 -0.5684
Br -0.683753 0.968487 4.560712 0.2 0.1 -0.3 0.6555
C -2.426561 -2.591208 2.652172 -1.4 -0.3 1.0 -0.1623
P -3.794155 -2.085728 3.818853 0.7 0.3 0.6 0.4440
O -3.304313 -1.205330 4.855650 0.7 0.9 0.8 -0.2847
O -4.401483 -3.408298 4.508515 -0.6 0.3 -1.6 -0.1087
O -4.958005 -1.338124 2.974669 0.2 -0.8 -0.2 -0.1427
H 0.321489 -2.193634 4.912769 -0.2 0.0 0.0 0.1164
H -1.711197 -1.233586 0.675215 0.4 -0.4 -0.1 0.1219
H -0.076063 -0.718531 1.235027 0.1 -0.6 -0.1 0.0935
H -1.717619 1.092364 0.861108 -0.2 -0.1 0.0 0.1139
H -2.638619 0.536497 2.269964 0.0 0.0 0.1 0.0902
H 0.368011 1.195749 2.288416 0.1 0.1 0.1 0.0427
H -0.894441 2.422112 2.567216 0.2 0.1 0.1 0.0499
H -2.861975 -2.686410 1.654995 0.3 0.1 -0.1 0.1034
H -2.150200 -3.593203 2.986581 0.0 0.0 0.0 0.1093
H -5.159827 -3.736429 3.999045 0.0 -0.2 0.3 0.0862
H -4.767481 -0.395997 3.102814 -0.3 -0.1 0.1 0.0756
C 2.927151 -1.575377 -2.329735 0.0 0.0 0.0 -0.0959
C 2.419813 -2.152260 -1.172382 0.0 0.0 0.0 -0.0834
C 2.241501 -1.382632 -0.030445 0.0 0.0 0.1 -0.0942
C 2.564723 -0.030703 -0.052877 0.0 0.0 -0.1 -0.0949
C 3.068560 0.547053 -1.210661 0.0 0.1 0.0 -0.1052
C 3.253558 -0.225915 -2.348038 0.0 0.0 0.0 -0.1069
H 3.068217 -2.177881 -3.218598 0.0 0.0 0.0 0.0995
H 2.162876 -3.204278 -1.159622 0.0 0.0 0.0 0.1030
H 1.848973 -1.834602 0.875507 0.2 0.1 -0.3 0.0650
H 2.423213 0.574202 0.835947 0.0 0.0 0.0 0.0933
H 3.317786 1.601105 -1.226258 0.0 0.0 0.0 0.1000
H 3.650746 0.223550 -3.249516 0.0 0.0 0.0 0.1027
C 0.742734 1.825194 -4.014623 0.0 0.0 0.0 -0.1020
C 0.854185 2.029729 -5.382822 0.0 0.0 0.0 -0.0955
C 1.115647 3.300778 -5.876580 0.0 0.0 0.0 -0.0981
C 1.274533 4.365930 -5.001106 0.0 0.0 0.0 -0.0988
C 1.166408 4.160857 -3.632350 0.0 0.0 0.0 -0.0970
C 0.896601 2.891696 -3.139387 0.0 0.0 0.0 -0.1032
H 0.536486 0.834354 -3.629427 0.0 0.0 0.0 0.0997
H 0.736654 1.197507 -6.065581 0.0 0.0 0.0 0.1001
H 1.196440 3.461060 -6.944312 0.0 0.0 0.0 0.0996
H 1.482939 5.356289 -5.385805 0.0 0.0 0.0 0.0996
H 1.292075 4.991697 -2.949256 0.0 0.0 0.0 0.0995
H 0.807523 2.732422 -2.071851 0.0 0.0 0.0 0.0952
```
Forces are in eV/Å.

Results
gap between HOMO and LUMO = 9.469 eV
highest occupied orbital energy = -9.21 eV
SMILES string = O=C(O)N(CCCBr)CP(=O)(O)O.c1ccccc1.c1ccccc1
2S+1 = 1



# 2
Molecular formula: C2H13NO4
Method: DFT, ωB97M-V/def2-TZVPD

Structure (XYZ):
```
20
Properties=species:S:1:pos:R:3:forces:R:3:lowdin_charge:R:1
C -0.311412 0.035720 2.079584 2.1 -0.6 0.7 -0.0523
C -0.054446 1.148454 1.371412 0.7 0.1 -1.1 -0.3013
N -1.095742 1.898063 0.837336 -0.5 -0.1 -0.1 0.0279
H 0.482566 -0.325582 2.770970 -0.4 -0.1 -1.1 0.0548
H -1.039104 -0.709100 1.825900 -1.2 0.4 0.6 0.0152
H 1.015454 1.343370 0.963458 -1.7 0.5 1.6 0.1226
H -1.980305 1.863213 1.375597 1.1 0.1 -0.7 0.1125
H -0.894593 2.795031 0.414250 0.0 -0.3 0.2 0.0903
H -2.139870 -1.987863 -1.186606 -0.2 0.1 0.5 0.0491
H -2.217737 -1.102647 0.153441 -0.6 -0.5 -2.1 0.0602
O -2.557973 -1.206407 -0.793762 0.9 0.3 1.5 -0.0756
H 2.096771 1.142779 -0.948046 1.4 -0.7 0.4 0.0274
H 3.181156 -0.009873 -0.659862 -0.7 1.8 0.2 0.0649
O 2.970217 0.962446 -0.507952 -0.8 -1.2 -0.7 -0.1057
H 1.142596 -1.507420 -1.167264 -0.9 0.9 -0.2 -0.0253
H 1.145512 -2.972806 -0.672278 0.1 0.3 -0.1 0.0387
O 1.698260 -2.248365 -0.989179 0.8 -1.0 0.2 -0.0432
H -0.903880 -0.343676 -1.648750 0.3 0.5 -0.5 0.0214
H -0.339776 0.937812 -1.298572 -0.5 2.6 2.2 -0.0493
O -0.197687 0.286857 -1.919683 0.0 -3.0 -1.6 -0.0323
```
Forces are in eV/Å.

Results